5 minute read
Fair, County
from The Alson Ward Diaries: From the Collections of the Dutchess County Historical Society
by D C H S | NY
Sej)tember 1845 2.8 .. and we jumped in a two horse carriage and came out with a rush and go~ ho1:1e before, a11. tbe. foJks. were, up·. I came on1Y as far as Grand PAs and ·sta1d -~1.l] church· time and went to churcn.". Aft.er cnurch went ·nome ·and _all -tliirigs· 1ooked quite natural. 29.In the morning I prepared myself to go to the Valley after my trunk as we were not able to bring it with us Sabbath. I hurried myself back to help thrash buckwheat with the machine. We finished off the buckwheat just at night. Edward
Free, Charles Robinson, Minard Dean. Calvert Dubois helped us some of the time husking corn etc. 30.Spent most of the time cleaning up buckwheat, Calvert turning the fanning mill. Father and Grandpa went to PM T1 s just before dinner and did not find him home.
October 1845 1.Father ploughed and I went to Pokeepsie with sister Mary and Miss Pierce to the County Fair it being the second day. There was not much to be seen. The address and the ploughing came off but I did not attend either. We went through the village hall and looked at the fancy articles, flowers&. I went to see the skeleton of a mammoth or mastadon found west of Newburgh some twelve feet high and very large tusks 2. Ispent the day ploughing, harrowing in the meadow. Father sowed the rye. Mr
Dean husked corn. We ridged the ground in narrow ridges and fixed it so the water can run off without much-trouble
3. Spent the day as yesterday ploughing out the back furrows clearing them out with hoes. Mr Dean and Calvert Dubois_helped. Father went to Pokeepsie after
Sarah as he expects to meet her qt the noon boat where he found her in company with Mr Daniel Platt 1 s daughter. 4. Sabbath Spent the day home as it rained moderately most of the day. 5. In the forenoon it looked quite rainy and the wind blew cold and stiff from the north.Just before noon I went to the Valley and took some things for the
Doctorthat Edward sent by Sarah from Oswego .. Ibrought Mr Dean home with me to help us clear the ditchesbetween the lands. We all spent the afternoon fixing them. 6. I spent the day ploughing the patch by the bars ploughing a ditch in Uncle
Daniel 1 s field. Father and Edward Free fixed the ditches.Minard husked corn.
7. Edward Free cleared ditches,Minard husked corn, I spent the day ploughing and harrowing, Father worked with Edward. 8. In the mo~ning Mr Dean and E. Free finished husking corn as there where but seven stouts to-husk .. We drew in the corn although it rained before we got it half in, after finishing drawing the corn it slacked raining and we all went to clearing the furrows but it did not let us work at it long so we quit it. Mr Dean went to sorting corn, Free took the horse to the shop to get a shoe set. on. Father and myself worked at the buckwheat. In the afternoon Father, Mr Dean and myself finished clearing the ditches • 9. Father went to Pokeepsie in the morning. Minard went over the ploughed ground and turned over the sods and put them in the holes. I spent the day ploughing in the buckwheat stubble
October 1845 1O.The day was rather stormy in the.morning but cleared off in the afternoon and was qutte ·pleasantFather and myself finished cleaning buckwheat and put it in the mill .
11.Sabbath.It was quite rainy and not suitable to attend church so we were obliged to remain as last sabbath confined to the house.
12.Spent the day in the mill being the first day ·for some time that we have been enabled to grind all day. Father sowed some timothy seed in the lot west of the houseseeded last fall after rye but the seed took very poor and he thought best to sow some on the stubble. Just at night Father went to the Valley with some grists. 13,I spent most of the day in the mill, Father,Mother and sister Sarah went to
Pokeepsie. Spent the afternoon at Mrs Vails. They returned home in the evening. 14.In the morning prepared the wagon with shelves to draw stalks and got ready at noon to go at it. We finished all but unloading one load which we left on the wagon. 15.In the forenoon drew the pumpkins from the field. Spent. the afternoon in the mill.
16.I spent most of my time in the millFather dug up the dahlia roots and labeled them.
6 unconnected molecules or ions with the total composition C24H36N6 in a non-equilibrium geometry, computed with ωB97M-V with the def2-TZVPD basis set.

Summary:
E_LUMO: 0.016 hartree
Highest occupied orbital energy: -7.79 eV
Calculated total energy: -1264.57579 Ha
Orbital gap: 0.3025 Eh
Energy above the lowest of the compared OMol25 structures with the same formula, charge and spin: 52.0 kJ/mol
SMILES string: c1cc[nH]c1.c1cc[nH]c1.c1cc[nH]c1.CCCC#N.CCCC#N.CCCC#N
Total charge: 0

Each line ends with the Mulliken charge.
Positions of all 66 atoms, in Å:
C 5.401001 1.202643 -1.604596  -0.420
C 4.323433 0.385486 -1.260110  -0.500
C 3.285920 0.640679 -2.131603  -0.411
N 3.683173 1.653079 -2.974232  0.051
C 4.963841 1.992670 -2.655454  -0.784
H 6.388096 1.256887 -1.180568  0.443
H 4.233933 -0.372380 -0.498205  0.470
H 2.310718 0.189478 -2.220027  0.428
H 3.170716 1.993144 -3.764457  0.195
H 5.499124 2.702820 -3.268048  0.457
C 3.544448 6.886057 -1.319444  -0.576
C 2.370567 6.541825 -0.590100  -0.554
C 2.288944 5.174959 -0.597891  -0.412
N 3.349100 4.669964 -1.277280  0.121
C 4.158466 5.709858 -1.671201  -0.348
H 3.951259 7.870008 -1.481628  0.378
H 1.693624 7.246382 -0.137989  0.391
H 1.531207 4.505295 -0.224775  0.385
H 3.508700 3.713768 -1.536743  0.306
H 5.044620 5.527975 -2.258302  0.327
C -4.784299 -2.608928 2.037547  -0.573
C -4.289352 -1.434005 1.477056  -0.127
C -3.886058 -0.597287 2.502680  -0.807
N -4.233289 -1.210077 3.672424  0.031
C -4.774949 -2.432346 3.411228  -0.568
H -5.166103 -3.500885 1.569739  0.402
H -4.198857 -1.182968 0.432763  0.582
H -3.377104 0.345648 2.405701  0.510
H -4.033778 -0.854139 4.587815  0.206
H -5.176193 -3.082466 4.169644  0.398
C -1.770129 -4.211647 -0.820128  -0.721
C -2.219323 -4.767649 -2.176145  -0.461
C -3.531955 -4.154557 -2.675615  -0.492
C -3.534662 -2.702346 -2.813153  0.360
N -3.509915 -1.557980 -2.906762  -0.473
H -0.762216 -4.555111 -0.607822  0.353
H -2.439382 -4.502531 -0.005130  0.349
H -1.881302 -3.124215 -0.836097  -0.092
H -2.346467 -5.850127 -2.166827  0.322
H -1.403866 -4.568780 -2.876071  0.298
H -4.335564 -4.445151 -1.997338  0.254
H -3.748514 -4.557745 -3.667851  0.305
C 2.238718 -0.631984 4.300611  -1.382
C 1.243513 -0.562559 3.150601  -0.364
C -0.210681 -0.537503 3.629789  0.451
C -0.557265 -1.834562 4.205809  0.201
N -0.825612 -2.846475 4.672778  -0.506
H 3.257477 -0.528488 3.913300  0.367
H 2.199403 -1.571217 4.854329  0.345
H 2.193407 0.161963 5.051587  0.335
H 1.458547 -1.407390 2.496910  0.275
H 1.440475 0.333247 2.557450  0.339
H -0.888961 -0.473802 2.764944  -0.509
H -0.510997 0.327426 4.217045  0.430
C -1.588625 -0.139760 -0.246063  -1.123
C -0.359445 -0.163154 -1.160894  -0.189
C -0.566773 0.786608 -2.352584  -0.637
C -0.472102 2.218582 -2.063337  0.174
N -0.383625 3.341407 -1.837586  -0.473
H -1.778912 0.807113 0.259258  0.512
H -1.492218 -0.956088 0.474360  0.301
H -2.507756 -0.389787 -0.776723  0.078
H -0.323088 -1.165377 -1.585634  0.195
H 0.555562 0.096822 -0.634358  0.370
17.Father went to Pokeepsie with a load of oatsI spent the forenoon helping him rig off & In the afternoon I spent part of my time in the mill and part fishing with floating lines for pickerel. Poor luck .
By missing the second of this month I have dated allowing until now dating one day back 19.In the morning went to church.Mr Wile preached an excellent sermon, the church was quite well filled it being quite a rarity to attend church as it has been rainy for several Sabbaths before. 2O.In the morning fixed the line fence in the west lot staking and ridering it, it having been newly lain after which Father and myself dug round some stone inthe northeast corner of the lot that was in the way of the plough. In the afternoon we put a blast in one of the stone that done good execution. 21.Father went to Pokeepsie with a load of oats and took Grandpa1 s pump to get it fixed. I spent most of the day in the mill grinding buckwheat, the water is very low and cannot grind scarcely enough to consider it anything. This was a very cold and blustering day the wind stiff north and very cold. 22.In the mroning early'we started the mill for a short time. Spent most of the day working at rocks in the west lot. In the evening sister Mary and myself went to Mr Wiles with sister Sarah and Mary Elizabeth who have been spending the day at Grandpas and we called for them Sarah practiced some on the piano. 23.I spent most of the day drilling a hole in a very hard stone harder than any that I ever had any dealing with before. Just at night I put a charge of powder in it which done good execution. Father spent the day around, the house and ~ill. __ _ 24.I spent part of the forenoon helping Father fix in the posts at the head